兩道主菜,一是《香煎日本鮟鱇魚》,有紅蔥麵包粉、苦菊苣、松子脆餅及酸紅甜菜醬汁, 鮟鱇魚表皮微脆帶著火氣,肉質肥嫩多汁,透過紅蔥麵包粉和苦菊苣提味,沾上酸紅甜菜汁,引以為傲的一級莊園愛侶園的Robert Groffier Pere & Fils酒莊2017 年LES HAUTS DOIX vs 2018年水金龜岩茶,擦出什麼火花?
Here the piece breaks off for data records >
- - -
A relaxed Na3ErV2O8 crystal, computed with GGA+U.

Properties
- final energy (eV per atom) = -6.7950
- M_tot (μB per formula unit) = 0.00
- formation energy (meV per atom) = -2696

Geometry as CIF:
```
data_Na3ErV2O8
_symmetry_space_group_name_H-M 'P 1 21/c 1'
_symmetry_Int_Tables_number 14
_cell_length_a 5.575
_cell_length_b 9.848
_cell_length_c 8.923
_cell_angle_alpha 90.00
_cell_angle_beta 125.40
_cell_angle_gamma 90.00
loop_
_symmetry_equiv_pos_as_xyz
'x,y,z'
'-x,-y,-z'
'-x,y+1/2,-z+1/2'
'x,-y+1/2,z+1/2'
loop_
_atom_site_label
_atom_site_fract_x
_atom_site_fract_y
_atom_site_fract_z
_atom_site_occupancy
Na1 0.000 0.000 0.000 1
Na2 0.302 0.143 0.792 1
Er1 0.500 0.000 0.500 1
V1 0.206 0.682 0.223 1
O1 0.140 0.131 0.468 1
O2 0.199 0.641 0.759 1
O3 0.268 0.598 0.408 1
O4 0.485 0.636 0.196 1
```

* * * * *

(1)
The following is a DFT calculation (PBE) of a relaxed CeMg6Al crystal.

Output
ΔH_f (0 K) in meV per atom: 52
Space-group type: Amm2 (38)
Polymorph energy (0 for the lowest one) in kJ per mole of atoms: 4.08
Raw total energy in eV per formula unit: -18.86

Structure (POSCAR):
```
CeMg6Al
1.0
3.303 -5.950 0.000
3.303 5.950 0.000
0.000 0.000 5.245
Ce Mg Al
1 6 1
direct
0.331 0.669 0.500 Ce
0.328 0.165 0.500 Mg
0.835 0.672 0.500 Mg
0.158 0.322 0.000 Mg
0.678 0.842 0.000 Mg
0.670 0.330 0.000 Mg
0.163 0.837 0.000 Mg
0.837 0.163 0.500 Al
```

=====

(2)
The following is a DFT calculation (PBE) of a relaxed Cu2SiSe3 crystal.

Output
ΔH_f (0 K) in meV per atom: -517
Space-group type: Cc (9)
Raw total energy in eV per formula unit: -25.80

Structure (POSCAR):
```
Cu2SiSe3
1.0
5.914 3.368 0.000
-5.914 3.368 0.000
0.000 2.152 6.403
Cu Si Se
4 2 6
direct
0.742 0.232 0.503 Cu
0.232 0.742 0.003 Cu
0.412 0.585 0.500 Cu
0.585 0.412 0.000 Cu
0.055 0.886 0.524 Si
0.886 0.055 0.024 Si
0.528 0.698 0.123 Se
0.698 0.528 0.623 Se
0.351 0.867 0.627 Se
0.867 0.351 0.127 Se
0.189 0.031 0.144 Se
0.031 0.189 0.644 Se
```

=====

(3)
The following is a DFT calculation (PBE) of a relaxed Na2LiYCl6 crystal.

Output
ΔH_f (0 K) in meV per atom: -2244
Space-group type: Fm-3m (225)
Raw total energy in eV per formula unit: -40.87

Structure (POSCAR):
```
Na2LiYCl6
1.0
0.000 5.138 5.138
5.138 0.000 5.138
5.138 5.138 0.000
Na Li Y Cl
2 1 1 6
direct
0.750 0.750 0.750 Na
0.250 0.250 0.250 Na
0.500 0.500 0.500 Li
0.000 0.000 0.000 Y
0.745 0.255 0.255 Cl
0.255 0.255 0.745 Cl
0.255 0.745 0.745 Cl
0.255 0.745 0.255 Cl
0.745 0.255 0.745 Cl
0.745 0.745 0.255 Cl
```

=====

(4)
The following is a DFT calculation (PBE) of a relaxed BaLaI5 crystal.

Output
ΔH_f (0 K) in meV per atom: -1882
Space-group type: C2/c (15)
Polymorph energy (0 for the lowest one) in kJ per mole of atoms: 1.65
Raw total energy in eV per formula unit: -25.75

Structure (POSCAR):
```
BaLaI5
1.0
11.247 3.244 0.000
-11.247 3.244 0.000
0.000 0.536 8.025
Ba La I
2 2 10
direct
0.673 0.327 0.250 Ba
0.327 0.673 0.750 Ba
0.921 0.079 0.250 La
0.079 0.921 0.750 La
0.786 0.717 0.101 I
0.803 0.188 0.993 I
0.631 0.369 0.750 I
- - -
雖然是2017 新年分,經由醒酒入口帶著松露厚重香氣,與鮟鱇魚一點都不違和,尤其當松子接觸到牙齦時,意外地與黑皮諾(Pinot Noir)微細單寧產生了卿卿我我纏綿,鮮魚和黑皮諾紅酒可相容呀!
如何用一道茶與相配的葡萄酒分庭抗禮? 2018 年武夷茶水金龜,泡得比較淡,鮮魚以輕發酵的茶,百無一失;然而香煎魚類,魚肉味道較重,以三進三出的武夷岩茶,運用獨有的焙火香柔和魚肉香煎氣息,是西方料理與東方茶的巧妙邂逅。岩茶的岩骨花香卻能讓魚肉滋味昇華,鮮魚與岩茶相近如賓,各自表述,卻在結束時岩茶尾韻回馬槍給魚肉鮮甜加分。
《爐烤澳洲乾式羊肋排》佐LES HAUTS DOIX 2017 輕微單寧和羊肉纖維構成肉鮮酒香的渾圓融合,不愧是紅酒速配紅肉的定式。然而用到茶的時,水金龜要泡的比平常濃厚一倍,飄來陣陣苔蘚味,如入霧氣瀰漫苔蘚鋪地的山澗,咬下羊排,就像突然發盛開於眼前的花朵,正是此處最耀眼的招攬者。
Next to the article, the page also holds crystal structures:
+++
Compound: TiNbBiO6
Source: the Materials Project database
Functional: PBE-GGA
Structure: relaxed

a = 5.373 Å, b = 6.996 Å, c = 7.659 Å
α = 67.81°, β = 69.69°, γ = 81.72°
Positions (direct):
Ti 0.000 0.000 0.000
Ti 0.485 0.990 0.517
Nb 0.405 0.225 0.075
Nb 0.909 0.237 0.560
Bi 0.475 0.639 0.280
Bi 0.939 0.623 0.785
O 0.044 0.502 0.470
O 0.124 0.298 0.967
O 0.184 0.060 0.719
O 0.213 0.154 0.363
O 0.269 0.923 0.108
O 0.355 0.732 0.594
O 0.493 0.486 0.056
O 0.635 0.299 0.444
O 0.672 0.009 0.227
O 0.724 0.214 0.845
O 0.756 0.929 0.629
O 0.894 0.746 0.022

## Properties
Its space group is P1, No. 1. Its total energy is -8.12 eV per atom.

=====

Record 1
DFT (PBE) results for a relaxed Nd2Au crystal.

Lattice parameters (Å, degrees): 7.3302 5.0787 9.3563 90.00 90.00 90.00
Element x y z (fractional)
Nd 0.0076 0.2500 0.1757
Nd 0.1513 0.2500 0.5853
Nd 0.3487 0.7500 0.0853
Nd 0.4924 0.7500 0.6757
Nd 0.5076 0.2500 0.3243
Nd 0.6513 0.2500 0.9147
Nd 0.8487 0.7500 0.4147
Nd 0.9924 0.7500 0.8243
Au 0.2429 0.2500 0.9035
Au 0.2571 0.7500 0.4035
Au 0.7429 0.2500 0.5965
Au 0.7571 0.7500 0.0965

Results
DFT formation energy in eV per formula unit: -1.66
Calculated volume in Å³ per cell: 348
ρ in g cm⁻³: 9.26

---

Record 2
DFT (PBE) results for a relaxed Nd2P2AuO crystal.

Lattice parameters (Å, degrees): 7.9143 7.9143 9.9785 129.05 129.05 31.12
Element x y z (fractional)
Nd 0.1327 0.1327 0.4524
Nd 0.1736 0.1736 0.1170
Nd 0.8264 0.8264 0.8830
Nd 0.8673 0.8673 0.5476
P 0.1480 0.1480 0.7668
P 0.4505 0.4505 0.8551
P 0.5495 0.5495 0.1449
P 0.8520 0.8520 0.2332
Au 0.4115 0.4115 0.1968
Au 0.5885 0.5885 0.8032
O 0.2792 0.2792 0.4281
O 0.7208 0.7208 0.5719

Results
DFT formation energy in eV per formula unit: -10.66
Magnetization in μB/atom: 0.00
Calculated volume in Å³ per cell: 244
ρ in g cm⁻³: 7.66

---

Record 3
DFT (PBE) results for a relaxed Nd2P3Au crystal.

Lattice parameters (Å, degrees): 4.1916 7.7705 16.7182 90.00 104.04 90.00
Element x y z (fractional)
Nd 0.0592 0.1048 0.2988
Nd 0.0592 0.3952 0.7988
Nd 0.2419 0.7313 0.4749
Nd 0.2419 0.7687 0.9749
Nd 0.7581 0.2313 0.0251
Nd 0.7581 0.2687 0.5251
Nd 0.9408 0.6048 0.2012
Nd 0.9408 0.8952 0.7012
P 0.1556 0.1163 0.9140
P 0.1556 0.3837 0.4140
P 0.3214 0.0360 0.5934
P 0.3214 0.4640 0.0934
P 0.4923 0.2049 0.7009
P 0.4923 0.2951 0.2009
P 0.5077 0.7049 0.7991
P 0.5077 0.7951 0.2991
P 0.6786 0.5360 0.9066
P 0.6786 0.9640 0.4066
P 0.8444 0.6163 0.5860
P 0.8444 0.8837 0.0860
Au 0.4098 0.5177 0.6547
Au 0.4098 0.9823 0.1547
Au 0.5902 0.0177 0.8453
Au 0.5902 0.4823 0.3453

Results
DFT formation energy in eV per formula unit: -6.13
Magnetization in μB/atom: 0.00
Calculated volume in Å³ per cell: 528
ρ in g cm⁻³: 7.27

---

Record 4
DFT (PBE) results for a relaxed NdPbAu crystal.

Lattice parameters (Å, degrees): 4.8945 4.8945 7.7066 90.00 90.00 120.00
Element x y z (fractional)
Nd 0.0000 0.0000 0.0000
Nd 0.0000 0.0000 0.5000
Pb 0.3333 0.6667 0.2500
Pb 0.6667 0.3333 0.7500
Au 0.3333 0.6667 0.7500
Au 0.6667 0.3333 0.2500

Results
+++
You may wonder why tea seems to pair better than wine. In fact, pairing is never absolute but dependent on the compatibility between the drink and food. Different cooking styles and ingredients bring out all kinds of possibilities, resulting in a fun pairing. How you make the tea, or at what temperature you drink it adds even more variation.
Coming up next, we have got two main dishes from the Restaurant La Pyramide:“Pan Fried Monkfish” and “Australian Rack of Lamb.” The former features juicy monkfish with its skin crisply fried. On the side, there are pine nuts, chicory, beetroot sauce and red shallots. The recommended wine for pairing was a 2017 Les Hauts Doix by Robert Groffier Pere & Fils, Les Amoureuses. As for tea, a rock tea named Golden Water Turtle from the year of 2018 was selected.
Although 2017 is still relatively young for a Premier Cru wine, the truffle aromas were in harmony with the monkfish. In particular, the pine nuts and the light tannins from the pinot noir grapes made for magical partners. After all, fish and pinot noir are perfect bedfellows!
How was the tea in comparison to the wine? It’s a pretty safe bet to pair fish with a light brew of 2018 Golden Water Turtle tea from the Wuyi mountains. Pan-fried fish gives a stronger sensation and therefore brewing the tea repeatedly to generate a unique roasty flavor goes well with the fish. This subtle encounter between Western cuisine and Oriental tea allowed both to showcase their own characteristics. Ultimately, the rock tea brings out and even upgrades the freshness of the fish.
Now let’s try the wine with the Australian rack of lamb which was paired with LES HAUTS DOIX 2017. Pairing red meat with red wine has long been a guaranteed winner, and here is no exception. The light tannins compliment the lamb. When paired with tea, the tea should be brewed extra strong, until it smells like a sort of mountain moss, as if you are walking along a mountain stream in haze with the trail covered in moss. Biting into the lamb rack is like discovering a flower in full blossom, making it the most impressive moment of the journey.
**Misplaced data records**
____________
1.
Here is HfMn2 after structural relaxation from the Materials Project. Energies are from PBE.

Output
- Symmetry: Cmcm
- M_tot: 1.2 Bohr magnetons per cell
- ΔH_f (0 K): -5.73 kcal/mol of atoms

Lattice parameters (Å, degrees): 4.9441 4.9441 16.1388 90.00 90.00 119.91
Fractional positions:
Hf 0.0001 0.9999 0.0936
Hf 0.0001 0.9999 0.4064
Hf 0.9999 0.0001 0.5936
Hf 0.9999 0.0001 0.9064
Hf 0.3334 0.6666 0.6558
Hf 0.3334 0.6666 0.8442
Hf 0.6666 0.3334 0.1558
Hf 0.6666 0.3334 0.3442
Mn 0.0000 0.5000 0.0000
Mn 0.0000 0.5000 0.5000
Mn 0.1635 0.3268 0.2500
Mn 0.1636 0.8364 0.2500
Mn 0.3268 0.1635 0.7500
Mn 0.3333 0.6667 0.1246
Mn 0.3333 0.6667 0.3754
Mn 0.5000 0.0000 0.0000
Mn 0.5000 0.0000 0.5000
Mn 0.5000 0.5000 0.0000
Mn 0.5000 0.5000 0.5000
Mn 0.6667 0.3333 0.6246
Mn 0.6667 0.3333 0.8754
Mn 0.6732 0.8365 0.2500
Mn 0.8364 0.1636 0.7500
Mn 0.8365 0.6732 0.7500

=====

2.
Here is LiCuF4 after structural relaxation from the Materials Project. Energies are from PBE.

Output
- Symmetry: P-1
- M_tot: 8.0 Bohr magnetons per cell
- ΔH_f (0 K): -48.90 kcal/mol of atoms

Lattice parameters (Å, degrees): 6.8021 7.9523 9.8920 98.98 105.81 101.33
Fractional positions:
Li 0.0005 0.1874 0.3940
Li 0.9995 0.8126 0.6060
Li 0.3452 0.9241 0.1568
Li 0.4952 0.5257 0.7616
Li 0.5048 0.4743 0.2384
Li 0.6548 0.0759 0.8432
Cu 0.0344 0.5981 0.2575
Cu 0.2427 0.1978 0.9163
Cu 0.4485 0.8039 0.4975
Cu 0.5515 0.1961 0.5025
Cu 0.7573 0.8022 0.0837
Cu 0.9656 0.4019 0.7425
F 0.0286 0.5938 0.6797
F 0.0710 0.7669 0.1521
F 0.1512 0.0045 0.7608
F 0.1580 0.7999 0.4709
____________
**The data records stop here**
The dining table has become a more colorful with the participation of tea. Whether it’s a dinner for two or for a group , it’s an extendable fugue with various ingredients accompanied by tea.
【本文刊載於 Jun. 2020 | Vintage Square】